Agran v. Checker Taxi Co.

105 N.E.2d 713 | Ill. | 1952

412 Ill. 145 (1952)
105 N.E.2d 713


No. 32299.

Supreme Court of Illinois.

Opinion filed March 20, 1952.
Rehearing denied May 19, 1952.

*146 MURAL J. WINSTIN, and MATTHEW STEINBERG, both of Chicago, for appellant.

GOTTLIEB & SCHWARTZ, and JESMER & HARRIS, both of Chicago, (H.R. BEGLEY, of counsel,) for appellee.

Orders affirmed.

Mr. JUSTICE HERSHEY delivered the opinion of the court:

This case comes here on appeal from an order of the circuit court of Cook County denying plaintiff's motion to vacate its previous order dismissing the cause for want of prosecution. A constitutional question being raised, the cause is properly here for determination.

August 30, 1948, plaintiff, Abraham Agran, filed a complaint at law against the defendant, Checker Taxi Company, a corporation. Plaintiff asked damages for personal injuries sustained by reason of the negligent, careless and improper operation of defendant's taxicab on May 10, 1948, whereby plaintiff, a pedestrian, was struck and severely injured. The cause being called for trial on October 11, 1951, and the plaintiff failing to appear and prosecute his *147 suit, the court ordered that the suit be dismissed for want of prosecution at plaintiff's costs. On October 25, 1951, plaintiff filed a motion to vacate the order of October 11, 1951, for the reason that the court entered an ex parte order dismissing the cause without notice being given to plaintiff by the clerk of the court five days prior to October 11, 1951, that such action was contemplated to be taken by the court on October 11 or any other time, as required by the statute known as "An Act to amend Sections 48 and 50 of the `Civil Practice Act,' as amended, * * * and to add Section 50a thereto." This statute provides, in section 50a, that no ex parte action shall be taken to dismiss a case for want of prosecution until every attorney of record has been notified at least five days by the clerk of the court that such action was contemplated on the date that such order was entered.

Thereafter, on November 1, 1951, defendant filed an answer to plaintiff's motion to vacate the order of dismissal, setting forth several objections to the constitutionality of the statute on which plaintiff relied as grounds for his motion to vacate. On November 2, 1951, the court entered its order denying the motion to vacate, declaring section 50a, added to the Civil Practice Act in 1951, to be unconstitutional and void for all the reasons assigned by the defendant.

It is fundamental, in order for the statute here invoked to be applicable, that this order of dismissal for want of prosecution must be an ex parte action. City National Bank & Trust Co. v. Davis Hotel Corp. 280 Ill. App. 247, defined an ex parte action as a judicial proceeding, order, injunction, etc., taken or granted at the instance and for the benefit of one party only and without notice to, or contest by, any person adversely interested. Certainly, this was an order entered in the absence of the plaintiff, but just as certainly the plaintiff was aware that the case was pending and had the duty to watch and appear when *148 it was called. It is difficult to precisely fit this action into the confines of the above definition. The negligence here can hardly be excused as a lack of notice. It is the usual procedure for courts to dismiss cases for want of prosecution where the plaintiff fails to appear.

It is argued forcibly that the legislature intended a broader definition of "ex parte action." That may well be. The definition above, while the most positive in form, is not the only one accepted, some being so broad as to include any relief granted without an opportunity for the person against whom relief is sought to be heard. (Restatement, Torts, p. 674.) The legislature here may have intended any action taken without specific notice to the negligent party affording an opportunity to be heard.

It being the duty of the courts to sustain legislation wherever possible and to resolve all doubts in favor of its validity, it is incumbent upon us to assume the legislature intended a broad meaning be assigned the phrase. We are thus brought to the real objections to the act.

### Someone pasted records of crystals at this point
- - -
Structure and calculated powder XRD pattern of K7AuCl2O2 (a structure optimized by DFT (PBE); Cu Kα (λ = 1.5418 Å)).

Largest 8 diffraction maxima, in order of rising 2θ, 2θ from 10° to 90°:
(hkl)  two_theta  d_spacing  intensity
0 3 1  18.4  4.835  500
1 3 0  19.8  4.485  558
1 2 1  23.3  3.811  531
1 4 1  26.6  3.350  1000
0 0 2  29.7  3.010  654
1 7 0  30.6  2.920  385
1 6 1  31.4  2.852  796
2 0 0  33.3  2.692  539

Crystal structure
```
data_K7AuCl2O2
_chemical_formula_sum 'K14 Au2 Cl4 O4'
_cell_length_a 5.3817
_cell_length_b 24.3360
_cell_length_c 6.0206
_cell_angle_alpha 90.00
_cell_angle_beta 90.00
_cell_angle_gamma 90.00
_space_group_name_H-M_alt 'I m m 2'
_space_group_IT_number 44
_space_group_name_Hall 'I 2 -2'
loop_
_atom_site_label
_atom_site_type_symbol
_atom_site_fract_x
_atom_site_fract_y
_atom_site_fract_z
K1 K 0.0000 0.0000 0.0000
K2 K 0.0000 0.1024 0.5101
K3 K 0.0000 0.2107 0.0475
K4 K 0.0000 0.3911 0.5322
Au1 Au 0.0000 0.5000 0.0782
Cl1 Cl 0.0000 0.2301 0.5487
O1 O 0.0000 0.1042 0.0760
```
- - -
### So much for the records of crystals

Article III of the constitution of the State of Illinois provides: "The powers of the government of this state are divided into three distinct departments — the legislative, executive and judicial; and no person, or collection of persons, being one of these departments, shall exercise any power properly belonging to either of the others, except as hereinafter expressly directed or permitted." Defendant urges that section 50a of the Civil Practice Act violates this constitutional provision.

In dividing the powers of government in this State into three separate departments, article III is declaratory of a basic principle of constitutional law. Each of the three departments is to perform the duties assigned to it and no department may exercise the powers properly belonging to either of the other two. (People ex rel. Bernat v. Bicek, 405 Ill. 510.) Section I of article VI of the constitution vests the judicial power in the courts provided in or permitted *149 to be created by the constitution. While the constitution does not define what constitutes judicial power, it is an exclusive and exhaustive grant vesting all such power in the courts. (People v. Bruner, 343 Ill. 146; People v. Callopy, 358 Ill. 11.) If the power is judicial in its nature, it necessarily follows that the legislature is expressly prohibited from exercising it. People v. Bruner, 343 Ill. 146.

The statute here objected to is one wherein the General Assembly attempts to regulate the procedure of the courts in the administration of their judicial business. Prior to the adoption of the United States constitution, courts exercised complete power in the control of their own procedure. The courts promulgated rules of procedure as an attribute of their judicial powers. That system became modified in this country by the adoption of statutes, whereby the legislature usurped a part of this rule-making function. (Pound, Regulation of Judicial Procedure By Rules of Court, 10 Ill. Law Review, 163.) Whether this occurred by pure acquiescence on the part of the judiciary, or through co-ordinate power with the courts is undecided. This departure from the time-honored methods of rule making has not left the legislature without limitations in this field. The General Assembly has power to enact laws governing judicial practice only where they do not unduly infringe upon the inherent powers of the judiciary. (People v. Callopy, 358 Ill. 11.) Were this not true, a basic tenet of our democratic form of government would be destroyed, and the relevant constitutional provisions rendered nugatory. It is the undisputed duty of the court to protect its judicial powers from encroachment by legislative enactments, and thus preserve an independent judicial department.

Section 50a is a legislative attempt to place restrictions on the court in rendering a decision dismissing a suit for want of prosecution. It regulates, in intimate detail, the procedure of the court in executing its judicial business. *150 Once the court's jurisdiction has been properly invoked and it has entered upon the performance of its purely judicial duties, this legislative rule specifies the procedure to be followed by the court in promulgating its determination. The power to adjudge, determine and render a judgment is beyond all question a judicial act, and can only be employed by judicial authority. The rendition of a judgment by default has been held to be manifestly a judicial act. (Hall v. Marks, 34 Ill. 358.) The legislature cannot direct the judiciary how cases shall be decided. (Otis Elevator Co. v. Industrial Com. 302 Ill. 90.) It is evident that the rendition of judgments by the courts is one of the most important inherent judicial powers of the courts, and may not be surrounded by legislative rules regulating such determinations. (State of Indiana ex rel. Kostas v. Johnson, 224 Ind. 540.) The challenged statute regulates judicial authority in the performance of a purely judicial act.

Section 50a, being manifestly a rule fashioned by the General Assembly providing a restriction on the power of the courts to render a judgment of dismissal in such cases as this, is clearly unconstitutional. The promulgation of such a rule infringes upon an inherent power of the judiciary, that of rendering decisions. By our constitution such inherent judicial powers are vested solely in the courts of this State, and any violation thereof is contrary to the express division of governmental powers into three distinct departments.

In view of the fact that we hold section 50a of the Civil Practice Act void and unconstitutional on the above assigned grounds, it is unnecessary to consider the numerous other objections to its constitutionality assigned by defendant. People ex rel. Koch v. Rinaker, 252 Ill. 266.

It is to be noted that substantially the same language requiring a five-day notice was added to sections 48 and 50 of the Civil Practice Act. While the instant case does not *151 arise under either of those sections, yet the basic principles of constitutional law applicable to section 50a would appear to apply with equal force to the amendments to sections 48 and 50.

Section 50a, being void and unconstitutional, can have no proper application here. Consequently, noncompliance with said statute is not a proper ground for reversing the order of dismissal rendered by the circuit court of Cook County, and that order and the order denying the motion to vacate are accordingly affirmed.

Orders affirmed.